No, 1 in 3 Kids Coming Across the Southern Border Are Not Victims of Sex Trafficking
=====
Record 1
# KCaHg2 | Alexandria via LeMat-Bulk | PBE | optimized geometry
data_KCaHg2
_cell_length_a 7.9321
_cell_length_b 7.9321
_cell_length_c 7.9321
_cell_angle_alpha 90.00
_cell_angle_beta 90.00
_cell_angle_gamma 90.00
_symmetry_space_group_name_H-M 'F m -3 m'
_symmetry_Int_Tables_number 225
_symmetry_space_group_name_Hall '-F 4 2 3'
loop_
_atom_site_label
_atom_site_type_symbol
_atom_site_fract_x
_atom_site_fract_y
_atom_site_fract_z
K1 K 0.0000 0.0000 0.0000
Ca1 Ca 0.0000 0.0000 0.5000
Hg1 Hg 0.2500 0.2500 0.2500
# - uncorrected energy (eV/cell) = -18.979
# - formation enthalpy at 0 K (meV per atom) = -261
# - energy above the lowest structure with this stoichiometry (meV/atom) = 81

Record 2
# RbTh2P2N6 | Alexandria via LeMat-Bulk | PBE | optimized geometry
data_RbTh2P2N6
_cell_length_a 11.0236
_cell_length_b 6.5565
_cell_length_c 6.6210
_cell_angle_alpha 90.00
_cell_angle_beta 121.38
_cell_angle_gamma 90.00
_symmetry_space_group_name_H-M 'C 1 2/m 1'
_symmetry_Int_Tables_number 12
_symmetry_space_group_name_Hall '-C 2y'
loop_
_atom_site_label
_atom_site_type_symbol
_atom_site_fract_x
_atom_site_fract_y
_atom_site_fract_z
Rb1 Rb 0.0000 0.0000 0.0000
Th1 Th 0.1899 0.5000 0.3027
P1 P 0.1178 0.5000 0.6861
N1 N 0.0708 0.5000 0.8788
N2 N 0.1860 0.2996 0.6393
# - uncorrected energy (eV/cell) = -172.670
# - formation energy from raw total energies (eV per atom) = -0.8869

Record 3
# RbSc2Te3 | Alexandria via LeMat-Bulk | PBE | optimized geometry
data_RbSc2Te3
_cell_length_a 7.8215
_cell_length_b 4.2388
_cell_length_c 11.6359
_cell_angle_alpha 90.00
_cell_angle_beta 103.76
_cell_angle_gamma 90.00
_symmetry_space_group_name_H-M 'P 1 21/m 1'
_symmetry_Int_Tables_number 11
_symmetry_space_group_name_Hall '-P 2yb'
loop_
_atom_site_label
_atom_site_type_symbol
_atom_site_fract_x
_atom_site_fract_y
_atom_site_fract_z
Rb1 Rb 0.0315 0.2500 0.3404
Sc1 Sc 0.2606 0.2500 0.9924
Sc2 Sc 0.4995 0.2500 0.6868
Te1 Te 0.1487 0.7500 0.1343
Te2 Te 0.3261 0.7500 0.5253
Te3 Te 0.3874 0.7500 0.8482
# - uncorrected energy (eV/cell) = -59.002
# - formation energy from raw total energies (eV per atom) = -1.0742

Record 4
# Pm6YEr2Tm | Alexandria via LeMat-Bulk | PBE | optimized geometry
data_Pm6YEr2Tm
_cell_length_a 9.1876
_cell_length_b 15.2777
_cell_length_c 9.5881
_cell_angle_alpha 90.00
_cell_angle_beta 97.13
_cell_angle_gamma 90.00
_symmetry_space_group_name_H-M 'C 1 2/c 1'
_symmetry_Int_Tables_number 15
_symmetry_space_group_name_Hall '-C 2yc'
loop_
_atom_site_label
_atom_site_type_symbol
_atom_site_fract_x
_atom_site_fract_y
_atom_site_fract_z
Pm1 Pm 0.0591 0.1799 0.4464
Pm2 Pm 0.1014 0.3918 0.6183
Pm3 Pm 0.2123 0.2236 0.8126
Y1 Y 0.0000 0.0262 0.7500
Er1 Er 0.2478 0.4490 0.9547
Tm1 Tm 0.0000 0.4114 0.2500
# - uncorrected energy (eV/cell) = -189.665
# - formation enthalpy at 0 K (meV per atom) = 115

=====

Compound: SrSn12Pd4
Source: the Alexandria database
Functional: PBE
Structure: relaxed

```
SrSn12Pd4
1.0
8.2695 0.0000 0.0000
-2.7565 7.7965 0.0000
=====
This preposterous claim is front and center in a new PragerU video.
In a recent short video for PragerU, Anna Paulina Luna, a Republican running for Congress in Florida, suggested that one third of the immigrant kids coming over our southern border are being sex trafficked.
She said it in a kind of garbled way—conflating the fact that some kids aren't related to their smugglers, with the fact that "sex trafficking exists"—but her conclusion was clear: Separating kids from the adults bringing them over the border is for their own protection, because otherwise they are being sold into prostitution.
This notion is preposterous, says Debbie Nathan, a journalist who has covered immigration for 40 years and co-authored an article on this topic in The Appeal. In that 2019 piece, titled, "Trump Has Turned the War on Trafficking into a War on Immigrants," she explained that there has been a "rhetorical mash-up of smuggling and trafficking."
What happened, Nathan tells Reason, is that in 2018, the government started doing DNA tests on a limited group of people crossing the border who had aroused particular suspicion. "It wasn't a random sample of people coming over the border," she says.
== These materials data were left in the text by mistake ==
/*
This record from OQMD describes an optimized crystal structure of Rb2CoP4H8O16. The functional is PBE with a Hubbard U.

a = 6.8351 Å, b = 7.1880 Å, c = 7.5953 Å
α = 80.94°, β = 70.25°, γ = 85.68°
Last column: nearest neighbours and their distance in Å.
Space group P-1 (No. 2)
Unique sites:
Rb 0.0924 0.2158 0.2947 x2  7 O 2.80-3.12
Co 0.5000 0.0000 0.5000 x1  6 O 2.05-2.12
P 0.2273 0.3031 0.7637 x2  4 O 1.51-1.63
P 0.3480 0.7632 0.2338 x2  4 O 1.51-1.61
H 0.0961 0.7681 0.0666 x2  1 O 1.06
H 0.2576 0.5278 0.4600 x2  1 O 1.06
H 0.3800 0.6719 0.7027 x2  1 O 1.00
H 0.3839 0.8120 0.8484 x2  1 O 1.00
O 0.0317 0.2986 0.9444 x2  1 H 1.06
O 0.2306 0.1466 0.6513 x2  1 P 1.51
O 0.2509 0.5649 0.3208 x2  1 H 1.06
O 0.2600 0.5000 0.6500 x2  1 H 1.43, 1 P 1.53
O 0.2731 0.8475 0.0708 x2  1 H 1.39, 1 P 1.52
O 0.3077 0.8838 0.3886 x2  1 P 1.51
O 0.4051 0.2701 0.8648 x2  2 P 1.61-1.63
O 0.4508 0.7819 0.7174 x2  2 H 1.00

## Properties
Total magnetization in Bohr magnetons per cell: 3.0
E_tot in eV for the cell shown: -188.4
Crystal system: triclinic

=====

# Ba2Pb2Br

An optimized crystal structure of Ba2Pb2Br (GGA-PBE, the Alexandria database).

Summary:
total energy = -3.4428 eV per atom
formation energy from raw total energies = -0.856 eV per atom

```
10
Lattice="-2.200 8.494 2.896 1.017 -2.727 8.770 4.975 1.343 -0.159" Properties=species:S:1:pos:R:3 pbc="T T T"
Pb 2.867 -0.062 5.579
Pb 2.054 3.417 9.496
Pb 0.926 7.172 5.927
Pb 1.739 3.693 2.010
Ba 0.136 0.454 8.061
Ba -1.097 5.057 8.366
Ba -1.319 5.313 3.604
Ba -0.086 0.711 3.299
Br 0.000 0.000 0.000
Br -0.591 2.884 5.833
```
*/
Indeed, many of them were not related to the people they said were their relatives. But that was only a small subset of migrants, and the results were neither surprising nor damning. Unrelated groups often cross the border together, because many times the biological parent is already in the U.S. They left their child behind to be raised by an aunt or grandma until the child was old enough to come over, or the parent was well-established enough to provide them a decent home. The parent then pays for the child's passage north. Maybe the child is accompanied by an aunt, or even a neighbor who is also migrating. This person might lie about their relationship to the child, but that doesn't mean their true purpose is sex trafficking.
Some border crossers will be accompanied by smugglers. The fact that that smuggler isn't related to the child is considered proof that the child is being trafficked—which is sort of like saying that if the bus driver isn't related to the girl taking the bus, he must be planning to pimp her out.
"The word 'trafficking' is just so radioactive," says Nathan, it makes separating the child from the group, or even sending the child back to his home country, sound like the kinder option.
In the PragerU video, Luna says that she can't emphasize enough "how dangerous it is for these kids."
"These kids don't choose to be in this circumstance," she continues. "They're innocent in this. But if we're not protecting them through our legislative policies, then we're part of the problem and I will never back down from that stance."
The Appeal article put it a different way: "By characterizing the act of border crossing with children as 'trafficking,' a political idiom almost immune to challenge, [Trump] continues his war on immigrants."
In any case, the government has currently come up with a new excuse for separating children and sending them back across the border: COVID-19. The New York Times reported Wednesday that the feds are deporting hundreds of migrant kids and teens without any chance to plead their case. The government is citing a 1944 law that lists disease-prevention as a reason to bar foreigners from entering the country, but many of these kids were already here when the pandemic began.
## Next to the entry, the page also holds data records
+++
Computed, not measured: a relaxed structure of SrAsHRh2 at the PBE-GGA level of DFT.

SG = P4/mmm, No. 123
calculated volume = 25.050 Å³/atom

Unit cell a=4.498 b=6.190 c=4.498 alpha=90.00 beta=90.00 gamma=90.00
Fractional coordinates of all 5 atoms:
Sr 0.000 0.500 0.000
As 0.000 0.000 0.000
Rh 0.000 0.000 0.500
Rh 0.500 0.000 0.000
H 0.500 0.500 0.500

Computed, not measured: a relaxed structure of Sr5Mo3 at the PBE-GGA level of DFT.

calculated formation energy = 1162.2 meV/atom
SG = P6_3/mcm, No. 193
calculated volume = 34.487 Å³/atom

Unit cell a=9.782 b=9.782 c=6.659 alpha=90.00 beta=90.00 gamma=120.00
Fractional coordinates of all 16 atoms:
Sr 0.333 0.667 0.000
Sr 0.667 0.333 0.500
Sr 0.667 0.333 0.000
Sr 0.333 0.667 0.500
Sr 0.255 0.000 0.250
Sr 0.745 0.000 0.750
Sr 0.000 0.255 0.250
Sr 0.745 0.745 0.250
Sr 0.255 0.255 0.750
Sr 0.000 0.745 0.750
Mo 0.588 0.000 0.250
Mo 0.412 0.000 0.750
Mo 0.000 0.588 0.250
Mo 0.412 0.412 0.250
Mo 0.588 0.588 0.750
Mo 0.000 0.412 0.750

Computed, not measured: a relaxed structure of FePd5Pt6 at the PBE-GGA level of DFT.

calculated formation energy = -98.5 meV/atom
SG = Immm, No. 71
calculated volume = 15.289 Å³/atom

Unit cell a=3.914 b=7.921 c=7.385 alpha=122.43 beta=105.36 gamma=90.00
Fractional coordinates of all 12 atoms:
Pt 0.835 0.589 0.670
Pt 0.835 0.081 0.670
Pt 0.500 0.758 0.000
Pt 0.500 0.242 0.000
Pt 0.165 0.919 0.330
Pt 0.165 0.411 0.330
Fe 0.000 0.000 0.000
Pd 0.664 0.164 0.328
Pd 0.335 0.335 0.671
Pd 0.000 0.500 0.000
Pd 0.665 0.665 0.329
Pd 0.336 0.836 0.672

Computed, not measured: a relaxed structure of Ce2PrTmSe5 at the PBE-GGA level of DFT.

E_form (uncorrected) = -1.353 eV/atom
SG = P4/mmm, No. 123
calculated volume = 31.462 Å³/atom

Unit cell a=5.071 b=5.071 c=11.010 alpha=90.00 beta=90.00 gamma=90.00
Fractional coordinates of all 9 atoms:
Ce 0.500 0.500 0.309
Ce 0.500 0.500 0.691
Pr 0.000 0.000 0.000
Tm 0.000 0.000 0.500
Se 0.000 0.500 0.500
Se 0.500 0.000 0.500
Se 0.000 0.000 0.748
Se 0.000 0.000 0.252
Se 0.500 0.500 0.000

Computed, not measured: a relaxed structure of Sr3LiCa at the PBE-GGA level of DFT.

calculated formation energy = 189.4 meV/atom
SG = Pm-3m, No. 221
calculated volume = 50.336 Å³/atom

Unit cell a=6.314 b=6.314 c=6.314 alpha=90.00 beta=90.00 gamma=90.00
Fractional coordinates of all 5 atoms:
Sr 0.000 0.500 0.000
Sr 0.000 0.000 0.500
Sr 0.500 0.000 0.000
Ca 0.500 0.500 0.500
Li 0.000 0.000 0.000

Computed, not measured: a relaxed structure of La14TbDy at the PBE-GGA level of DFT.

calculated formation energy = 79.2 meV/atom
SG = Amm2, No. 38
calculated volume = 36.109 Å³/atom

Unit cell a=7.146 b=7.146 c=11.888 alpha=90.00 beta=90.00 gamma=72.11
Fractional coordinates of all 16 atoms:
La 0.297 0.703 0.500
La 0.866 0.134 0.500
La 0.845 0.616 0.000
La 0.816 0.605 0.500
La 0.384 0.155 0.000
La 0.395 0.184 0.500
La 0.677 0.893 0.746
La 0.677 0.893 0.254
La 0.107 0.323 0.746
La 0.107 0.323 0.254
La 0.178 0.822 0.755
La 0.178 0.822 0.245
La 0.612 0.388 0.763
+++
Instead of insisting these kids are innocent trafficking victims who must be sent back, the feds are now treating them like invidious disease vectors. Both are pretexts for an unjustified policy.